It remains to duplicate the part of the contents underneath that starts with the line with "0.4774 0.0129" and stops after the one with "0.8752 0.7906".

Rb5V3O10: relaxed, meta-GGA r2SCAN. Values from VASP.

Results
Total energy: -216.01 eV per formula unit
Formation enthalpy at 0 K: -2.4648 eV/atom

Structure (Quantum ESPRESSO input):
```
&SYSTEM
  ibrav = 0, nat = 72, ntyp = 3
/
ATOMIC_SPECIES
Rb 85.47 Rb.upf
V 50.94 V.upf
O 16.00 O.upf
ATOMIC_POSITIONS crystal
Rb 0.4774 0.0129 0.1346
Rb 0.5226 0.9871 0.6346
Rb 0.4871 0.9774 0.3846
Rb 0.0226 0.5129 0.1154
Rb 0.5129 0.0226 0.8846
Rb 0.9774 0.4871 0.6154
Rb 0.0129 0.4774 0.8654
Rb 0.9871 0.5226 0.3654
Rb 0.0012 0.0272 0.1122
Rb 0.9988 0.9728 0.6122
Rb 0.4728 0.5012 0.3622
Rb 0.4988 0.5272 0.1378
Rb 0.5272 0.4988 0.8622
Rb 0.5012 0.4728 0.6378
Rb 0.0272 0.0012 0.8878
Rb 0.9728 0.9988 0.3878
Rb 0.7606 0.7606 0.0000
Rb 0.2394 0.2394 0.5000
Rb 0.7394 0.2606 0.2500
Rb 0.2606 0.7394 0.7500
V 0.2304 0.2325 0.2677
V 0.7696 0.7675 0.7677
V 0.2675 0.7304 0.5177
V 0.2696 0.7325 0.9823
V 0.7325 0.2696 0.0177
V 0.7304 0.2675 0.4823
V 0.2325 0.2304 0.7323
V 0.7675 0.7696 0.2323
V 0.3134 0.3134 0.0000
V 0.6866 0.6866 0.5000
V 0.1866 0.8134 0.2500
V 0.8134 0.1866 0.7500
O 0.0689 0.3278 0.2371
O 0.9311 0.6722 0.7371
O 0.1722 0.5689 0.4871
O 0.4311 0.8278 0.0129
O 0.8278 0.4311 0.9871
O 0.5689 0.1722 0.5129
O 0.3278 0.0689 0.7629
O 0.6722 0.9311 0.2629
O 0.2431 0.2295 0.0712
O 0.7569 0.7705 0.5712
O 0.2705 0.7431 0.3212
O 0.2569 0.7295 0.1788
O 0.7295 0.2569 0.8212
O 0.7431 0.2705 0.6788
O 0.2295 0.2431 0.9288
O 0.7705 0.7569 0.4288
O 0.2314 0.2449 0.3549
O 0.7686 0.7551 0.8549
O 0.2551 0.7314 0.6049
O 0.2686 0.7449 0.8951
O 0.7449 0.2686 0.1049
O 0.7314 0.2551 0.3951
O 0.2449 0.2314 0.6451
O 0.7551 0.7686 0.1451
O 0.2180 0.0219 0.2425
O 0.7820 0.9781 0.7425
O 0.4781 0.7180 0.4925
O 0.2820 0.5219 0.0075
O 0.5219 0.2820 0.9925
O 0.7180 0.4781 0.5075
O 0.0219 0.2180 0.7575
O 0.9781 0.7820 0.2575
O 0.4028 0.3059 0.2370
O 0.5972 0.6941 0.7370
O 0.1941 0.9028 0.4870
O 0.0972 0.8059 0.0130
O 0.8059 0.0972 0.9870
O 0.9028 0.1941 0.5130
O 0.3059 0.4028 0.7630
O 0.6941 0.5972 0.2630
CELL_PARAMETERS angstrom
8.4196 0.0000 0.0000
0.0000 8.4196 0.0000
0.0000 0.0000 19.4467
```

Pb: relaxed, meta-GGA r2SCAN. Values from VASP.

Results
Total energy: -56.26 eV per formula unit
E above lowest polymorph: 20 meV per atom
Formation enthalpy at 0 K: 0.0205 eV/atom

Structure (Quantum ESPRESSO input):
```
&SYSTEM
  ibrav = 0, nat = 2, ntyp = 1
/
ATOMIC_SPECIES
Pb 207.20 Pb.upf
ATOMIC_POSITIONS crystal
Pb 0.3333 0.6667 0.2500
Pb 0.6667 0.3333 0.7500
CELL_PARAMETERS angstrom
3.4716 0.0000 0.0000
-1.7358 3.0065 0.0000
0.0000 0.0000 5.9974
```

Sb2XeF12: relaxed, meta-GGA r2SCAN. Values from VASP.

Results
Total energy: -143.22 eV per formula unit
Formation enthalpy at 0 K: -2.0274 eV/atom

Structure (Quantum ESPRESSO input):
```
&SYSTEM
  ibrav = 0, nat = 30, ntyp = 3
/
ATOMIC_SPECIES
Sb 121.76 Sb.upf
Xe 131.29 Xe.upf
F 19.00 F.upf
ATOMIC_POSITIONS crystal
Sb 0.0502 0.9487 0.1433
Sb 0.9498 0.4487 0.8567
Sb 0.6893 0.7116 0.3043
Sb 0.3107 0.2116 0.6957
Xe 0.6843 0.2174 0.2941
Xe 0.3157 0.7174 0.7059
F 0.8672 0.7900 0.1625
F 0.1328 0.2900 0.8375
F 0.2126 0.1044 0.1411
F 0.7874 0.6044 0.8589
F 0.2118 0.8749 0.3500
F 0.7882 0.3749 0.6500
F 0.1487 0.8253 0.0072
F 0.8513 0.3253 0.9928
F 0.4823 0.3570 0.2984
F 0.5177 0.8570 0.7016
F 0.8487 0.0121 0.9560
F 0.1513 0.5121 0.0440
F 0.5301 0.6432 0.4340
F 0.4699 0.1432 0.5660
F 0.8411 0.5450 0.3248
F 0.1589 0.0450 0.6752
F 0.8752 0.7906 0.4962
F 0.1248 0.2906 0.5038
F 0.5329 0.6454 0.0904
F 0.4671 0.1454 0.9096
F 0.9254 0.0549 0.2932
F 0.0746 0.5549 0.7068
F 0.5688 0.8920 0.2571
F 0.4312 0.3920 0.7429
CELL_PARAMETERS angstrom
7.1722 0.0000 -0.0351
0.0000 9.3353 0.0000
-2.2936 0.0000 7.7393
```

Li5CuF8: relaxed, meta-GGA r2SCAN. Values from VASP.

Results
Total energy: -86.28 eV per formula unit
E above lowest polymorph: 17 meV per atom
Formation enthalpy at 0 K: -2.7497 eV/atom

Structure (Quantum ESPRESSO input):
```
&SYSTEM
  ibrav = 0, nat = 14, ntyp = 3
/
ATOMIC_SPECIES
Li 6.94 Li.upf
Cu 63.55 Cu.upf
F 19.00 F.upf

Rb 0.4774 0.0129 0.1346
Rb 0.5226 0.9871 0.6346
Rb 0.4871 0.9774 0.3846
Rb 0.0226 0.5129 0.1154
Rb 0.5129 0.0226 0.8846
Rb 0.9774 0.4871 0.6154
Rb 0.0129 0.4774 0.8654
Rb 0.9871 0.5226 0.3654
Rb 0.0012 0.0272 0.1122
Rb 0.9988 0.9728 0.6122
Rb 0.4728 0.5012 0.3622
Rb 0.4988 0.5272 0.1378
Rb 0.5272 0.4988 0.8622
Rb 0.5012 0.4728 0.6378
Rb 0.0272 0.0012 0.8878
Rb 0.9728 0.9988 0.3878
Rb 0.7606 0.7606 0.0000
Rb 0.2394 0.2394 0.5000
Rb 0.7394 0.2606 0.2500
Rb 0.2606 0.7394 0.7500
V 0.2304 0.2325 0.2677
V 0.7696 0.7675 0.7677
V 0.2675 0.7304 0.5177
V 0.2696 0.7325 0.9823
V 0.7325 0.2696 0.0177
V 0.7304 0.2675 0.4823
V 0.2325 0.2304 0.7323
V 0.7675 0.7696 0.2323
V 0.3134 0.3134 0.0000
V 0.6866 0.6866 0.5000
V 0.1866 0.8134 0.2500
V 0.8134 0.1866 0.7500
O 0.0689 0.3278 0.2371
O 0.9311 0.6722 0.7371
O 0.1722 0.5689 0.4871
O 0.4311 0.8278 0.0129
O 0.8278 0.4311 0.9871
O 0.5689 0.1722 0.5129
O 0.3278 0.0689 0.7629
O 0.6722 0.9311 0.2629
O 0.2431 0.2295 0.0712
O 0.7569 0.7705 0.5712
O 0.2705 0.7431 0.3212
O 0.2569 0.7295 0.1788
O 0.7295 0.2569 0.8212
O 0.7431 0.2705 0.6788
O 0.2295 0.2431 0.9288
O 0.7705 0.7569 0.4288
O 0.2314 0.2449 0.3549
O 0.7686 0.7551 0.8549
O 0.2551 0.7314 0.6049
O 0.2686 0.7449 0.8951
O 0.7449 0.2686 0.1049
O 0.7314 0.2551 0.3951
O 0.2449 0.2314 0.6451
O 0.7551 0.7686 0.1451
O 0.2180 0.0219 0.2425
O 0.7820 0.9781 0.7425
O 0.4781 0.7180 0.4925
O 0.2820 0.5219 0.0075
O 0.5219 0.2820 0.9925
O 0.7180 0.4781 0.5075
O 0.0219 0.2180 0.7575
O 0.9781 0.7820 0.2575
O 0.4028 0.3059 0.2370
O 0.5972 0.6941 0.7370
O 0.1941 0.9028 0.4870
O 0.0972 0.8059 0.0130
O 0.8059 0.0972 0.9870
O 0.9028 0.1941 0.5130
O 0.3059 0.4028 0.7630
O 0.6941 0.5972 0.2630
CELL_PARAMETERS angstrom
8.4196 0.0000 0.0000
0.0000 8.4196 0.0000
0.0000 0.0000 19.4467
```

Pb: relaxed, meta-GGA r2SCAN. Values from VASP.

Results
Total energy: -56.26 eV per formula unit
E above lowest polymorph: 20 meV per atom
Formation enthalpy at 0 K: 0.0205 eV/atom

Structure (Quantum ESPRESSO input):
```
&SYSTEM
  ibrav = 0, nat = 2, ntyp = 1
/
ATOMIC_SPECIES
Pb 207.20 Pb.upf
ATOMIC_POSITIONS crystal
Pb 0.3333 0.6667 0.2500
Pb 0.6667 0.3333 0.7500
CELL_PARAMETERS angstrom
3.4716 0.0000 0.0000
-1.7358 3.0065 0.0000
0.0000 0.0000 5.9974
```

Sb2XeF12: relaxed, meta-GGA r2SCAN. Values from VASP.

Results
Total energy: -143.22 eV per formula unit
Formation enthalpy at 0 K: -2.0274 eV/atom

Structure (Quantum ESPRESSO input):
```
&SYSTEM
  ibrav = 0, nat = 30, ntyp = 3
/
ATOMIC_SPECIES
Sb 121.76 Sb.upf
Xe 131.29 Xe.upf
F 19.00 F.upf
ATOMIC_POSITIONS crystal
Sb 0.0502 0.9487 0.1433
Sb 0.9498 0.4487 0.8567
Sb 0.6893 0.7116 0.3043
Sb 0.3107 0.2116 0.6957
Xe 0.6843 0.2174 0.2941
Xe 0.3157 0.7174 0.7059
F 0.8672 0.7900 0.1625
F 0.1328 0.2900 0.8375
F 0.2126 0.1044 0.1411
F 0.7874 0.6044 0.8589
F 0.2118 0.8749 0.3500
F 0.7882 0.3749 0.6500
F 0.1487 0.8253 0.0072
F 0.8513 0.3253 0.9928
F 0.4823 0.3570 0.2984
F 0.5177 0.8570 0.7016
F 0.8487 0.0121 0.9560
F 0.1513 0.5121 0.0440
F 0.5301 0.6432 0.4340
F 0.4699 0.1432 0.5660
F 0.8411 0.5450 0.3248
F 0.1589 0.0450 0.6752
F 0.8752 0.7906 0.4962